Bank Guarantee (Defination)
Bank Guarantee (Defination)
Bank Guarantee (Defination)
A bank guarantee and a letter of credit are similar in many ways but they're two
different things. Letters of credit ensure that a transaction proceeds as planned,
while bank guarantees reduce the loss if the transaction doesn't go as planned.
A bank guarantee might be used when a buyer obtains goods from a seller then runs
into cash flow difficulties and can't pay the seller. The bank guarantee would pay an
agreed-upon sum to the seller. Similarly, if the supplier was unable to provide the
goods, the bank would then pay the purchaser the agreed-upon sum. Essentially, the
bank guarantee acts as a safety measure for the opposing party in the transaction.
These financial instruments are often used in trade financing when suppliers, or
vendors, are purchasing and selling goods to and from overseas customers with
whom they don't have established business relationships. The instruments are
designed to reduce the risk taken by each party.
How bank guarantees work
When running a business, you might come across a situation that your client may
ask you to provide a financial guarantee from a third party.
This is usually seen when a small company is dealing with much larger entity or even
a government across border. Let us take an example of a company XYZ bags a
project from, say, the Government of Ethiopia to build 200 power transmission
In this case, companies all over the world would have applied. The selection would
be made on the basis of lowest cost and track record as submitted in the proposal
However, the government has limited ability to assess all companies for financial
stability and credit worthiness.
To ensure the project is done satisfactorily and on time, the government puts a
condition that company XYZ will have to furnish a guarantee given by one or more
In banking nomenclature, company XYZ is an applicant, its bank is the issuing bank
and the Government of Ethiopia is the beneficiary.
Usually, the BG is for a specified amount, which is a percentage of the total money
required for the contract.
Obviously, the bank will not just issue such guarantee with its own due diligence.
The bank does its own thorough analysis of the financial well being of company XYZ
to assess the amount of guarantee it can issue. After all, the bank is at a risk too, in
case the client defaults. This amount is called a limit.
Here too there is a catch. The bank will issue guarantee provided the company has
not exceeded its overall limit for BGs. And if the Government of Ethiopia is not
satisfied with the performance of the contract at a later date, it can invoke the BG.
In this situation, the bank will have to immediately release the amount of the BG to
the government.
BGs can be broadly classified into Performance and Financial BGs. As the name
suggests, Performance BGs are the ones by which the issuing bank, also known as
the Guarantor, guarantees the ability of the applicant to perform a contract, to the
satisfaction of the beneficiary.
Let us continue with our earlier example, to understand the different types of
performance BGs. XYZ might need to give a BG that guarantees it has the capability
to do the project, on winning the bid. This ensures only serious bidders are in the
fray for the project. This is called a bid-bond guarantee. XYZ also might be getting
an advance payment for buying materials, etc. Again, it will have to furnish a BG to
the extent of the advance, called an advance payment BG. To secure the project
even further, the Government of Ethiopia might insist on stage payment guarantees.
This would have milestones like 20 per cent, 40 per cent, etc and a period in which
these have to be done. As and when XYZ does that part of the work, the BG would
expire, thus freeing its limits with the bank (banks also charge for these services,
typically as a small percentage of the BG amount, even as little as 0.05 per cent).
The other broader types of BGs are financial guarantees. These are used to secure a
financial commitment such as a loan, a security deposit, etc. For example,
guarantees of margin money for stock exchanges. These are issued on behalf of
brokers, in lieu of the security deposit that needs to be paid at the time of becoming
a member of the exchange.
The applicant, XYZ, has to prove credit worthiness only to one party, his bank, and
can bid for projects across the world. The beneficiary, Government of Ethiopia, does
not have to analyse how financially sound the companies are and knows that in case
something goes wrong, the bank will pay him.
What does the term 'Bank Guarantee' mean?
Guarantees are important instruments used to minimize the risks that are involved in
commercial contracts. For the enforcement of ordinary guarantees, as construed
dependence of the guarantee on the main contract may lead to unnecessary disputes
and litigation, arising from the main contract. These disputes may have a material
effect on the guarantee, thereby blocking funds in litigation. Hence, there was a need
for an innovative instrument which would enable the guarantee to serve its original
purpose; namely, providing a form of security.
The bank guarantee is one such innovative financial instrument whereby, if the
beneficiary perceives that there has been a breach of contract by the other party, he
can en cash the guarantee and avail of the amount immediately, without having to
undergo the hassles of litigation. Thus, the relevance of a bank guarantee achieves
Irretrievable injustice or injury.
However, if the bank guarantee includes a clause to the effect that it could not be
invoked prior to the decision of the arbitrators, such a bank guarantee, which is
conditional, cannot be invoked and an injunction can be granted.
What is the difference between a bank guarantee and a usual guarantee?
Following are some points of difference between a bank guarantee and a usual
1. A usual guarantee is governed by Sec. 126 of the Indian Contract Act, 1872. A
bank guarantee is not directly governed by Sec. 126.
3. In an ordinary guarantee, the contract between the surety and the creditor
arises as a subsidiary to the contract between the creditor and the principal debtor.
The bank guarantee is independent of the main contract.
4. In an ordinary guarantee, the inter se disputes between the debtor and the
creditor have a material effect upon the surety's liability. However, the bank
guarantee is independent of the disputes, arising ex contractu (arising out of the
5. An ordinary guarantee does not have any time limit before which the debt has
to be claimed. Bank guarantees generally have a specific time within which they are
Bank Guarantee
Customer approaches the Bank for guaranteed surety. The Bank agrees to
discharge the customer's liability in case of defaults. The Bank gives the guarantee
under the concept of Kafalah . Bank Guarantee is not a financing instruments but
merely a guarantee.
Refers to the guarantee provided by a person to the owner of a goods who had
placed or deposited his goods with a third person, whereby any subsequent claim by
the owner for his goods must be met by the guarantor and the third person.
Types of guarantee:
This guarantee is issued to a supplier who extended his credit facility to our
customer for the purchase of goods on credit and therefore, it acts as a security
This type of guarantee is only issued to the Custom Department. For instance, a
forwarding agent is required to furnish to the Custom Department a custom bond to
guarantee the good behaviour of its employees.
This guarantee is used for import ation of goods into Malaysia on temporary basis
goods are exempted from import duties provided they are re-exported. The Custom
Department requires a bank guarantee to ensure that the goods are re-exported on
time failing which a claim will be made under the bank guarantee.
The Bank issues this guarantee to government bodies that have granted the
contract to the customer (the contractor). Advance Payment Guarantee allows the
government to gives advance payment to the contractor in order to carry out
government projects according to the terms and conditions of the contract.
Unlike sureties, the contract of guarantee is not explicitly governed by law. As such,
the following two positions are taken:
Direct/indirect guarantee
In principle, there are two types of guarantee:
Direct guarantees:
Direct guarantees are used primarily in domestic business. However, an accessory
security in the form of a surety is often enough. This is issued directly to the
beneficiary in the same way as a direct guarantee.
Guarantees apply whenever the bank's undertaking to provide security is not
contingent on the existence, validity and enforceability of the principal obligation.
For this reason guarantees are frequently opted for in cross-border transactions,
because the beneficiary is able to assert his or her claims rapidly due to the abstract
legal nature of the guarantee. Guarantees have the added advantage of being
easier to adapt to foreign legal systems and practices, because there are no form
requirements. Due to cost and risk considerations, direct guarantees are
increasingly being used in foreign business as well.
Formal verification
Data records, kept here for reference
'''
Entry 1:
Here is crystalline K3CrC6N6 at its relaxed geometry from Materials Project. Energies are from GGA-PBE.

a = 8.5499 Å, b = 13.8003 Å, c = 13.7407 Å
α = 90.00°, β = 128.42°, γ = 90.00°
Last column: nearest neighbours and their distance in Å.
Space group P2_1/c (No. 14)
Unique sites:
K (0.1094, 0.2391, 0.4823) x4  6 N 2.83-3.09, 1 C 3.15
K (0.1386, 0.0021, 0.7640) x4  4 N 2.88-3.01
K (0.3306, 0.9995, 0.2071) x4  5 N 2.91-3.24
Cr (0.3940, 0.7432, 0.0176) x4  6 C 2.03-2.05
C (0.1682, 0.6621, 0.4616) x4  1 N 1.18
C (0.2220, 0.6828, 0.8440) x4  1 N 1.18
C (0.2863, 0.6502, 0.0791) x4  1 N 1.18
C (0.3765, 0.1489, 0.4201) x4  1 N 1.18
C (0.4403, 0.1910, 0.8140) x4  1 N 1.18
C (0.4897, 0.1582, 0.0329) x4  1 N 1.18
N (0.0425, 0.6071, 0.4372) x4  1 C 1.18
N (0.1228, 0.6480, 0.7442) x4  1 C 1.18
N (0.2262, 0.6007, 0.1198) x4  1 C 1.18
N (0.2409, 0.0966, 0.3824) x4  1 C 1.18
N (0.3467, 0.1491, 0.7188) x4  1 C 1.18
N (0.4209, 0.1011, 0.0609) x4  1 C 1.18

Output
As for the total magnetic moment: 12.00 Bohr magnetons per cell. For the formation energy, the calculation gives -0.268 eV per atom.

***

Entry 2:
Here is crystalline Ca13Ge22Au50 at its relaxed geometry from Materials Project. Energies are from GGA-PBE.

a = 14.9480 Å, b = 14.9480 Å, c = 14.9480 Å
α = 90.00°, β = 90.00°, γ = 90.00°
Last column: nearest neighbours and their distance in Å.
Space group Im-3 (No. 204)
Unique sites:
Ca (0.0000, 0.0000, 0.0000) x2  8 Au 3.67, 12 Ge 3.68
Ca (0.0000, 0.3062, 0.1888) x24  12 Au 3.15-3.32, 4 Ge 3.31-3.35
Ge (0.0000, 0.0867, 0.2305) x24  1 Ge 2.59, 5 Au 2.63-2.84
Ge (0.0000, 0.1990, 0.5000) x12  8 Au 2.65-2.89
Ge (0.2500, 0.2500, 0.2500) x8  8 Au 2.67-2.80
Au (0.0000, 0.0000, 0.3996) x12  2 Ge 2.84, 5 Au 3.00-3.01, 2 Ca 3.15
Au (0.0000, 0.3547, 0.4027) x24  2 Ge 2.65-2.74, 3 Au 2.91-2.92
Au (0.1035, 0.1965, 0.3366) x48  3 Ge 2.67-2.89, 1 Au 2.92
Au (0.1417, 0.1417, 0.1417) x16  4 Ge 2.63-2.80

Output
As for the total magnetic moment: 0.00 Bohr magnetons per cell. For the formation energy, the calculation gives -0.374 eV per atom.

***

Entry 3:
Here is crystalline Eu2ZrTiO6 at its relaxed geometry from Materials Project. Energies are from GGA-PBE.

a = 8.1051 Å, b = 8.1051 Å, c = 8.1051 Å
α = 90.00°, β = 90.00°, γ = 90.00°
Last column: nearest neighbours and their distance in Å.
Space group Fm-3m (No. 225)
Unique sites:
Eu (0.2500, 0.2500, 0.2500) x8  12 O 2.87
Zr (0.0000, 0.0000, 0.0000) x4  6 O 2.09
Ti (0.0000, 0.0000, 0.5000) x4  6 O 1.97
O (0.0000, 0.0000, 0.2573) x24  1 Ti 1.97, 1 Zr 2.09

Output
As for the total magnetic moment: 56.00 Bohr magnetons per cell. For the formation energy, the calculation gives -3.543 eV per atom.

***

Entry 4:
Here is crystalline Tm5BiPd2 at its relaxed geometry from Materials Project. Energies are from GGA-PBE.

a = 7.6754 Å, b = 7.6754 Å, c = 13.8370 Å
α = 90.00°, β = 90.00°, γ = 90.00°
Last column: nearest neighbours and their distance in Å.
Space group I4/mcm (No. 140)
Unique sites:
'''
In making a claim under a bank guarantee, the beneficiary is exercising his or her
right to demand payment of the guarantee amount (or part thereof). The bank
checks whether the claim has been made in accordance with the conditions of the
Signature check:
In general, guarantees contain a clause (identification clause) whereby the
beneficiary's bank has to confirm his or her signature in the event of a claim. This
procedure ensures that the claim is only signed by a person or persons authorized
to do so.
Form of claim:
The claim generally has to be submitted in written form. The conditions of the
guarantee often permit claims to be made via encrypted telex or SWIFT
Time-limit of claim:
The claim must be received in the specified form, at the latest on the expiry date,
by the branch of the bank stipulated in the guarantee.
The beneficiary is responsible for the mailing risk and any other delays (force
Special aspects
The beneficiary of the guarantee can normally assign his or her conditional claim for
payment to a third party, or assignee (assignment of the proceeds but not the
drawing right).
Things to note:
Direct guarantees
1. Ordinary expiry:
If the beneficiary has not made a claim by the date specified in the expiry
clause of the guarantee document, the guarantee will expire. This applies
irrespective of whether the guarantee document was returned to the bank or
3. Premature cancellation :
Formal discharge by the beneficiary.
Indirect guarantees
1. Expiry date:
Expiry of the bank guarantee issued by the guaranteeing (foreign) bank to the
Expiry of the counter-liability and counter-guarantee of the initiating (Swiss) bank in
favour of the guaranteeing foreign bank (15 to 30 days following the expiry date).
Notification of a guarantee
Naturally, the guarantee notification also functions in the opposite direction to the
procedure referred to above. We forward the third-party guarantee with no
commitment on our part merely for identification and transmission purposes to
you as the beneficiary. We will be happy to provide you with advice in the event of
uncertainties regarding the content of the guarantee (technical guarantee-related
language), the creditworthiness of the bank or the current country risk. You can
often avoid problems of this kind by requesting that the foreign company with which
you are doing business arrange for this guarantee to be issued by a first-rate bank
in Switzerland. We're here to answer your questions.
Dear Sir,
1. Perofrmance Guarantee
The performance Guarantee means, the Guaranteeing party will give guarantee for
execution of a particular happening of the incident/transaction or any other thing
which is good in the eye of law. for example a) construction of a
Building/dam/bridge, b) Supply and erection of machinery . Here the liability of the
person is to perform the incident/job/transaction not the financial liability.
2. Financial Gurantee
All the terms/covenants of the Bank Guarantees have to be accepted by all the
parties to the guaranees ie.,
Normally the bankers do not execute the Performance Guarantee. Beccaue they are
not experts in executing the particular/various types of jobs/transactions etc. In
General most of the guarantees ends with financial liability only.
On the assumption that it is Performance Guarantee ending with financial liability I
opine like :
2) The invoking letter may be a simple letter addressed to the bank will be that of
stating " as the some/many of the terms and conditons of the original underlying
contract/agreement have not been fulfilled we are invoking the guarantee". Finally
the beneficiary may request the banker to send the invoked amount by means of
Draft/RTGS/EFT to his account.
Normal condition/ covenant in the Bank Guarantee is that - by mere asking the
amount bank has to make payment of the invoked amount.
Therefore Banks are required to make payment by mere invokation letter. Some
times the bankers needs a certificate/declaration that the invoked amount is final
and the liability under the said bank guarantee is satisfied. They may also ask to
send back the original bank guarantee issued by them for their records.
With regards,
MRR Gupta
Sent a letter to the concerned banker for invoking BG. Generally the BG does not
contaion any condition, means a BG is un conditional and you can invoke it any time
(for this purpose read your BG). The banker will pay to you the BG amount after
completion of formalities which differs from bank to bank.
Dear Members,
Could anyone please explain the proceedure for invoking the Performance Bank
Gaurantee from the Bank?
Thanks in advance
Dear Sir,
The first & foremost ground for invocation of BG shuld be read thoroughly to know
on which circumstances it can be invoked.
Trusting this would suffice you, if not pls. feel free to revert.
This is usually issued for an amount equal to between 1 and 2 percent of the contract
value. It gives the employer compensation for additional costs if the party submitting
the tender does not take up the contract and it must be awarded to another party.
Performance Guarantee
Normally issued for an amount equal to between 5 and 10 percent of the contact
value, this guarantee assures payment to the employer in the event that the
contractor fails to fulfill contract obligations.
This enables the employer to get a refund of advance payments made in the event of
default by the contractor. It is issued for the full amount of the advance payment,
but may contain reduction clauses, which enable a reduction in the maximum
amount upon evidence of progressive performance.
Most major projects call for stage payments as work progresses. Often the employer
retains a percentage of the payment (retention money), as cover for any hidden
defects in the completed work. A retention money guarantee allows for immediate
release of retention money to the contractor. The employer can get a refund of
retention money released, in the event of default by the contractor.
Payment Guarantee
Facility Guarantee
This is normally not trade related. Its purpose is to provide security to another bank
to advance money to an individual or company. It is often used when a company
does not have any credit record and wishes to expand offshore.
Maintenance Guarantee
This ensures that the contactor does not abandon the contract after completion of
the construction phase, but continues to honour any maintenance obligations as per
the original agreement.
Customs Guarantee
Shipping Guarantee
This enables the buyer to obtain release of the goods from the carrier, despite the
bills of lading being lost or delayed.
A guarantee or bond, as they are sometimes known, provides the beneficiary with
acceptable security if the applicant (you) fails to fulfil its obligations in the underlying
When you're trading internationally you may often come across the following
guarantees. We can arrange these and guarantees to cover many other kinds of risk.
Performance Bond
Used where the applicant calls for the provision of a sum of money at an early
stage of the contract
The beneficiary can recover the amount paid in advance, or part thereof, if
the applicant fails to fulfil their underlying contractual obligations.